Retype every line further below that contains the word "optimized", please.

-- begin --
First-principles (PBE-GGA) data for an optimized crystal structure of LaMg14Mo, as listed in the Materials Project database. Values from VASP.

* V: 23.22 Å³/atom
* E above lowest polymorph: 0.040 eV/atom
* mass density: 2571 kg/m3
* energy relative to the elements: 0.152 eV per atom

Cell and atoms, written as Quantum ESPRESSO input:
```
&SYSTEM
  ibrav = 0, nat = 16, ntyp = 3
/
ATOMIC_SPECIES
La 138.91 La.upf
Mg 24.30 Mg.upf
Mo 95.94 Mo.upf
ATOMIC_POSITIONS angstrom
La 0.000 1.875 1.271
Mg -1.562 4.722 1.271
Mg -1.637 4.678 6.357
Mg 3.247 1.804 1.271
Mg 3.247 1.891 6.357
Mg 1.562 4.722 1.271
Mg 1.637 4.678 6.357
Mg 1.608 0.946 3.983
Mg 1.608 0.946 8.731
Mg 0.000 3.731 3.983
Mg 0.000 3.731 8.731
Mg 4.886 0.946 3.983
Mg 4.886 0.946 8.731
Mg 3.247 3.749 3.735
Mg 3.247 3.749 8.979
Mo 0.000 1.875 6.357
CELL_PARAMETERS angstrom
6.494 0.000 0.000
-3.247 5.624 0.000
0.000 0.000 10.171
```

=====

Record 1
Computed, not measured: a relaxed structure of Sr2TaCrO6 at the PBE with a Hubbard U level of DFT.

Cell: 7.9935 7.9935 9.7900 Å, 114.09 114.09 90.00°
Closest atoms and distances in Å follow each position.
Element x y z (fractional)
O: 0.5009 0.7500 0.5000  1 Ta 1.99, 1 Cr 2.01
O: 0.2500 0.0009 0.5000  1 Ta 1.99, 1 Cr 2.01
Cr: 0.7500 0.2500 0.5000  6 O 2.01
Cr: 0.0000 0.0000 0.0000  6 O 2.01
O: 0.4991 0.2500 0.5000  1 Ta 1.99, 1 Cr 2.01
O: 0.7509 0.5000 0.0000  1 Ta 1.99, 1 Cr 2.01
O: 0.5000 0.2491 0.0000  1 Ta 1.99, 1 Cr 2.01
O: 0.3755 0.8755 0.7509  1 Ta 1.99, 1 Cr 2.01
Sr: 0.1250 0.6250 0.7500  12 O 2.83
Sr: 0.8750 0.8750 0.2500  12 O 2.83
O: 0.2509 0.0000 0.0000  1 Ta 1.99, 1 Cr 2.01
O: 0.6245 0.1245 0.2491  1 Ta 1.99, 1 Cr 2.01
Sr: 0.1250 0.1250 0.7500  12 O 2.83
O: 0.8755 0.3755 0.7509  1 Ta 1.99, 1 Cr 2.01
O: 0.3745 0.3745 0.7491  1 Ta 1.99, 1 Cr 2.01
O: 0.7500 0.9991 0.5000  1 Ta 1.99, 1 Cr 2.01
O: 0.1255 0.1255 0.2509  1 Ta 1.99, 1 Cr 2.01
Cr: 0.2500 0.7500 0.5000  6 O 2.01
O: 0.8745 0.8745 0.7491  1 Ta 1.99, 1 Cr 2.01
Sr: 0.3750 0.3750 0.2500  12 O 2.83
O: 0.7491 0.0000 0.0000  1 Ta 1.99, 1 Cr 2.01
Ta: 0.7500 0.7500 0.5000  6 O 1.99
O: 0.5000 0.7509 0.0000  1 Ta 1.99, 1 Cr 2.01
O: 0.9991 0.7500 0.5000  1 Ta 1.99, 1 Cr 2.01
O: 0.1245 0.6245 0.2491  1 Ta 1.99, 1 Cr 2.01
Sr: 0.6250 0.6250 0.7500  12 O 2.83
O: 0.7500 0.5009 0.5000  1 Ta 1.99, 1 Cr 2.01
O: 0.6255 0.6255 0.2509  1 Ta 1.99, 1 Cr 2.01
O: 0.2500 0.4991 0.5000  1 Ta 1.99, 1 Cr 2.01
Sr: 0.6250 0.1250 0.7500  12 O 2.83
O: 0.0000 0.7491 0.0000  1 Ta 1.99, 1 Cr 2.01
Ta: 0.0000 0.5000 0.0000  6 O 1.99
O: 0.0009 0.2500 0.5000  1 Ta 1.99, 1 Cr 2.01
Cr: 0.5000 0.5000 0.0000  6 O 2.01
O: 0.0000 0.2509 0.0000  1 Ta 1.99, 1 Cr 2.01
Sr: 0.8750 0.3750 0.2500  12 O 2.83
Ta: 0.5000 0.0000 0.0000  6 O 1.99
O: 0.2491 0.5000 0.0000  1 Ta 1.99, 1 Cr 2.01
Ta: 0.2500 0.2500 0.5000  6 O 1.99
Sr: 0.3750 0.8750 0.2500  12 O 2.83

Properties
ΔE_f ... -3223.6 meV per atom
Electronic total energy ... -322.77 eV per cell



Record 2
Computed, not measured: a relaxed structure of Li8Mn7NiP12O48 at the PBE with a Hubbard U level of DFT.

Cell: 8.5608 8.7776 11.9758 Å, 90.38 90.03 90.09°
Closest atoms and distances in Å follow each position.
Element x y z (fractional)
Li: 0.0000 0.0000 0.0000  4 O 1.92-2.01
Li: 0.0025 0.0535 0.6410  4 O 1.95-2.00
Li: 0.4317 0.4922 0.9995  4 O 1.94-2.00
Li: 0.4336 0.5497 0.6364  4 O 1.92-1.96
Li: 0.5004 0.0486 0.5004  4 O 1.89-1.99
Li: 0.5032 0.9924 0.1380  4 O 1.92-1.98
Li: 0.9327 0.5500 0.5007  4 O 1.93-1.99
Li: 0.9350 0.4926 0.1345  4 O 1.88-1.98
Mn: 0.4664 0.3062 0.2048  6 O 1.90-2.05
Mn: 0.4671 0.7353 0.4336  6 O 1.91-2.11
Mn: 0.4703 0.2357 0.7059  6 O 1.90-2.06
Mn: 0.4700 0.8080 0.9317  6 O 1.89-2.02
Mn: 0.9641 0.7349 0.7062  6 O 1.90-2.03
Mn: 0.9690 0.8094 0.2041  6 O 1.91-2.05
Mn: 0.9702 0.2364 0.4335  6 O 1.87-2.04
Ni: 0.9665 0.3082 0.9362  6 O 1.98-2.09
P: 0.1114 0.6679 0.9666  4 O 1.52-1.57
P: 0.1137 0.3793 0.6728  4 O 1.50-1.58
P: 0.1817 0.5205 0.3188  4 O 1.53-1.57
P: 0.2522 0.0250 0.3193  4 O 1.53-1.57
P: 0.3231 0.8769 0.6728  4 O 1.53-1.56
-- stop --

First-principles (PBE-GGA) data for an optimized crystal structure of LaMg14Mo, as listed in the Materials Project database. Values from VASP.